Fiction Books

Showing: 7721-7730 results of 11811

CHAPTER I Outside the St. Jermyn's Club the rain pelted pitilessly upon deserted pavements. Mr. Robert Grell leaned his arms on the table and stared steadily out through the steaming window-panes for a second. His shoulders lifted in a shrug that was almost a shiver. "It's a deuce of a night," he exclaimed with conviction. There was a faint trace of accent in his voice—an almost... more...

_Materials data that have nothing to do with the piece_
(1)
First-principles (GGA-PBE) data for a relaxed LuReB2 crystal, as listed in OQMD via LeMat-Bulk.

Cell and atoms, written as CIF:
```
data_LuReB2
_cell_length_a 5.9330
_cell_length_b 5.9330
_cell_length_c 5.9330
_cell_angle_alpha 90.00
_cell_angle_beta 90.00
_cell_angle_gamma 90.00
_symmetry_space_group_name_H-M 'P 1'
_symmetry_Int_Tables_number 1
_symmetry_space_group_name_Hall 'P 1'
loop_
_atom_site_label
_atom_site_type_symbol
_atom_site_fract_x
_atom_site_fract_y
_atom_site_fract_z
Lu1 Lu 0.0000 0.0000 0.0000
Lu2 Lu 0.0000 0.5000 0.5000
Lu3 Lu 0.5000 0.0000 0.5000
Lu4 Lu 0.5000 0.5000 0.0000
Re1 Re 0.2500 0.2500 0.7500
Re2 Re 0.2500 0.7500 0.2500
Re3 Re 0.7500 0.2500 0.2500
Re4 Re 0.7500 0.7500 0.7500
B1 B 0.0000 0.0000 0.5000
B2 B 0.0000 0.5000 0.0000
B3 B 0.2500 0.2500 0.2500
B4 B 0.2500 0.7500 0.7500
B5 B 0.5000 0.0000 0.0000
B6 B 0.5000 0.5000 0.5000
B7 B 0.7500 0.2500 0.7500
B8 B 0.7500 0.7500 0.2500
```

**Size of the total moment**: 0.002 μB per atom
**Space group**: F-43m (216)

***

(2)
First-principles (GGA-PBE) data for a relaxed AgPbSeO crystal, as listed in OQMD via LeMat-Bulk.

Cell and atoms, written as CIF:
```
data_AgPbSeO
_cell_length_a 6.4399
_cell_length_b 8.4735
_cell_length_c 6.2177
_cell_angle_alpha 90.00
_cell_angle_beta 90.00
_cell_angle_gamma 90.00
_symmetry_space_group_name_H-M 'P 1'
_symmetry_Int_Tables_number 1
_symmetry_space_group_name_Hall 'P 1'
loop_
_atom_site_label
_atom_site_type_symbol
_atom_site_fract_x
_atom_site_fract_y
_atom_site_fract_z
Ag1 Ag 0.0395 0.1957 0.0000
Ag2 Ag 0.4605 0.1957 0.5000
Ag3 Ag 0.5395 0.8043 0.0000
Ag4 Ag 0.9605 0.8043 0.5000
Pb1 Pb 0.0567 0.6472 0.9912
Pb2 Pb 0.4433 0.6472 0.4912
Pb3 Pb 0.5567 0.3528 0.9912
Pb4 Pb 0.9433 0.3528 0.4912
Se1 Se 0.2473 0.9975 0.2779
Se2 Se 0.2527 0.9975 0.7779
Se3 Se 0.7473 0.0025 0.2779
Se4 Se 0.7527 0.0025 0.7779
O1 O 0.1102 0.5800 0.6202
O2 O 0.3898 0.5800 0.1202
O3 O 0.6102 0.4200 0.6202
O4 O 0.8898 0.4200 0.1202
```

**Space group**: Pca2_1 (29)

***

(3)
First-principles (GGA-PBE) data for a relaxed LiDySO crystal, as listed in OQMD via LeMat-Bulk.

Cell and atoms, written as CIF:
```
data_LiDySO
_cell_length_a 3.8218
_cell_length_b 3.8218
_cell_length_c 8.5167
_cell_angle_alpha 90.00
_cell_angle_beta 90.00
_cell_angle_gamma 90.00
_symmetry_space_group_name_H-M 'P 1'
_symmetry_Int_Tables_number 1
_symmetry_space_group_name_Hall 'P 1'
loop_
_atom_site_label
_atom_site_type_symbol
_atom_site_fract_x
_atom_site_fract_y
_atom_site_fract_z
Li1 Li 0.2500 0.7500 0.0000
Li2 Li 0.7500 0.2500 0.0000
Dy1 Dy 0.2500 0.2500 0.3661
Dy2 Dy 0.7500 0.7500 0.6339
S1 S 0.2500 0.2500 0.8271
S2 S 0.7500 0.7500 0.1729
O1 O 0.2500 0.7500 0.5000
O2 O 0.7500 0.2500 0.5000
```

**Size of the total moment**: 0.000 μB per atom
**Space group**: P4/nmm (129)

***

no.,E_tot (eV/cell),mass density (g/cm³)
1,-99.0,12.2
2,-67.0,8.0
3,-50.8,5.8

----------

Material: PmB2Ir2
Method: DFT, PBE-GGA
State: optimized geometry

The structure in POSCAR format:
```
PmB2Ir2
1.0
_The piece goes on_

CHAPTER II SEE THE EYES "Good evening, sir. A bit gusty?" "Very much so, sergeant," I replied. "I think I will step into your hut for a moment and light my pipe if I may." "Certainly, sir. Matches are too scarce nowadays to take risks with 'em. But it looks as if the storm had blown over." "I'm not sorry," said I, entering the little hut like a... more...

CHAPTER I "Hallo! Is that Hampstead Police Station?" "Yes. Who are you?" "Detective-Inspector Chippenfield of Scotland Yard. Tell Inspector SeldonI want him, and be quick about it." "Yes, sir. Hang on, sir. I'll put you through to him at once." Detective-Inspector Chippenfield, of Scotland Yard, waited with the receiver held to his ear. While he waited he... more...

Seen in the sad glamour of an English twilight, the old moat-house, emerging from the thin mists which veiled the green flats in which it stood, conveyed the impression of a habitation falling into senility, tired with centuries of existence. Houses grow old like the race of men; the process is not less inevitable, though slower; in both, decay is hastened by events as well as by the passage of Time.... more...

CHAPTER I On the first Sunday in the month of August, 1815, at ten o'clock precisely—as on every Sunday morning—the sacristan of the parish church at Sairmeuse sounded the three strokes of the bell which warn the faithful that the priest is ascending the steps of the altar to celebrate high mass. The church was already more than half full, and from every side little groups of peasants were... more...

CHAPTER I jacob herapath is missing This was the third week of Selwood’s secretaryship to Jacob Herapath. Herapath was a well-known man in London. He was a Member of Parliament, the owner of a sort of model estate of up-to-date flats, and something of a crank about such matters as ventilation, sanitation, and lighting. He himself, a bachelor, lived in one of the best houses in Portman Square; when he... more...

CHAPTER I. I COMMIT AN INDISCRETION. I should have kept my eyes for the many brilliant and interesting sights constantly offered me. Another girl would have done so. I myself might have done so, had I been over eighteen, or, had I not come from the country, where my natural love of romance had been fostered by uncongenial surroundings and a repressed life under the eyes of a severe and unsympathetic... more...

AN OPEN DOOR It was a night to drive any man indoors. Not only was the darkness impenetrable, but the raw mist enveloping hill and valley made the open road anything but desirable to a belated wayfarer like myself. Being young, untrammeled, and naturally indifferent to danger, I was not averse to adventure; and having my fortune to make, was always on the lookout for El Dorado, which, to ardent souls,... more...

CHAPTER I THE TRAVELER FROM TIBET "Who's there?" I called sharply. I turned and looked across the room. The window had been widely opened when I entered, and a faint fog haze hung in the apartment, seeming to veil the light of the shaded lamp. I watched the closed door intently, expecting every moment to see the knob turn. But nothing happened. "Who's there?" I cried again,... more...

CHAPTER I. THE KING OF THE YEGGMEN. Four men were seated around a camp fire made of old railroad ties, over which a kettle was boiling merrily, where it hung from an improvised crane above the blaze. Around, on the ground, were scattered a various assortment of tin cans, some of which had been hammered more or less straight to serve for plates, and it was evident from the general appearance of things... more...